Whether you’re a buyer or seller of a commercial real estate (CRE) property, it’s imperative to have the most accurate rentable square footage (RSF) data on hand. Buyers need accurate RSF calculations from the seller to avoid overpaying. With accurate data, you can find new ways to maximize revenue once you’ve taken over an asset. Sellers need accurate RSF data to have a clear picture of rentable areas. This way you can see where to increase square footage to maximize the sale price.

== These quantum chemistry results were left in the text by mistake ==
********
## w
{"formula": "C2H10N2O2", "method": "ωB97M-V/def2-TZVPD", "charge": 0, "homo_energy_ev": -9.33, "smiles": "NCO.NCO", "gap_ha": 0.3732, "elements": ["N", "C", "O", "H", "H", "H", "H", "H", "N", "C", "O", "H", "H", "H", "H", "H"], "coordinates": [[-2.572, -0.171, -1.118], [-1.420, 0.681, -0.823], [-0.194, 0.093, -1.279], [-2.549, -1.038, -0.607], [-3.476, 0.226, -0.940], [-1.676, 1.749, -1.078], [-1.374, 0.801, 0.327], [0.537, 0.723, -1.151], [1.085, -1.319, 0.779], [1.607, -0.172, 1.318], [2.204, 0.835, 0.385], [0.145, -1.053, 0.420], [1.645, -1.709, 0.029], [0.849, 0.340, 1.908], [2.410, -0.370, 2.015], [2.780, 0.384, -0.183]]}


## x
{"formula": "C2H10N2O2", "method": "ωB97M-V/def2-TZVPD", "charge": 0, "homo_energy_ev": -8.88, "smiles": "[H]/N=C/NC.O.O", "gap_ha": 0.3552, "elements": ["H", "N", "C", "N", "C", "H", "H", "H", "H", "H", "O", "H", "H", "O", "H", "H"], "coordinates": [[0.180, -0.060, -2.979], [0.414, -0.001, -1.991], [-0.438, -0.686, -1.319], [-0.065, -1.551, -0.284], [-1.053, -2.651, 0.017], [-1.463, -0.846, -1.656], [0.321, -1.004, 0.478], [-0.780, -3.328, -0.788], [-0.670, -2.995, 1.000], [-2.114, -2.435, 0.078], [1.872, 0.827, 2.703], [1.412, 0.004, 2.835], [2.653, 0.805, 2.120], [-0.085, 4.304, 0.143], [-0.585, 4.500, -0.652], [0.399, 5.116, 0.294]]}


## y
{"formula": "C2H10N2O2", "method": "ωB97M-V/def2-TZVPD", "charge": 0, "homo_energy_ev": -9.65, "smiles": "[H]/N=C/NC.O.O", "gap_ha": 0.3843, "elements": ["H", "N", "C", "N", "C", "H", "H", "H", "H", "H", "O", "H", "H", "O", "H", "H"], "coordinates": [[-1.106, 1.398, 2.267], [-0.821, 0.621, 1.683], [0.447, 0.677, 1.573], [1.175, 0.009, 0.631], [2.303, 0.716, 0.043], [1.040, 1.269, 2.281], [0.551, -0.354, -0.083], [2.990, 0.015, -0.421], [2.835, 1.268, 0.814], [2.013, 1.393, -0.758], [-2.090, -0.909, -0.359], [-2.872, -1.285, 0.057], [-1.557, -0.562, 0.387], [-0.646, -0.722, -2.905], [-1.120, -0.803, -2.060], [0.290, -0.866, -2.767]]}


Least stable of them? x.


## w
{"formula": "CH3N2O2S", "method": "ωB97M-V/def2-TZVPD", "charge": 1, "homo_energy_ev": -14.65, "gap_ha": 0.2554, "elements": ["C", "N", "N", "O", "O", "S", "H", "H", "H"], "coordinates": [[1.341, 2.608, -0.041], [0.945, 3.661, -0.356], [0.188, -1.229, 0.978], [1.003, -3.474, 0.384], [1.634, 1.515, 0.224], [1.322, -2.092, 0.238], [0.959, 4.631, -0.751], [-0.646, -1.664, 1.167], [0.275, -0.283, 1.193]]}


## x
{"formula": "CH3N2O2S", "method": "ωB97M-V/def2-TZVPD", "charge": 1, "homo_energy_ev": -15.00, "gap_ha": 0.2857, "elements": ["C", "N", "N", "O", "O", "S", "H", "H", "H"], "coordinates": [[1.437, -0.656, 0.048], [2.189, -1.568, 0.135], [-1.943, 0.629, -0.088], [-3.116, -1.611, -0.319], [0.699, 0.170, -0.259], [-3.197, -0.281, 0.148], [2.602, -1.942, 1.027], [-1.080, 0.568, -0.622], [-2.018, 1.603, 0.297]]}


Least stable of them? w.


## w
********

If you’re a buyer or seller, you’ll want to ensure you have the most up-to-date RSF data. This blog highlights the due diligence measures you should take when conducting building measurements. 

Use the latest measurement standards

Many property teams are using outdated measurement standards. Make sure you’re using new measurement standards to help you increase your RSF. BOMA 1996 is outdated and should not be used for anything other than building-wide measurement. And there are only a few instances in which BOMA 2010 Method A and Method B are acceptable to follow. Going forward, CRE teams should abide by the BOMA 2017 (Method A and Method B) and REBNY methods.

Note: REBNY is for New York and a few select other markets only.

BOMA measurement standards for 6 property types

BOMA measurement standards for 6 property types

Download the guide for an in-depth overview of six BOMA Standards and to learn their similarities and differences to the Office Standard.

Determine how space needs have changed

Many commercial tenants are now eager to modify their spaces. Amid this dynamic environment, it’s easy to measure inaccurately and miss out on revenue—or to have difficulty selling your properties because you’re charging too much. To regain a solid footing in this hybrid work era, you need to ensure all new and modified spaces are measured accurately, down to the last square foot. You can partner with a space measurement expert to help guide you through this process. 

Lean into expert guidance

While it’s important to use the newest measurement standards, it can be difficult to know the ins and outs of the standards and how to measure your buildings accordingly. Plus, standards are often updated. You can tap into space management software with expert guidance to walk you through the remeasurement process and ensure your building is measured according to the newest standards.

Implement a data management strategy

After recalculating your buildings, you need to store the updated RSF calculations. And you need to be able to see RSF across your portfolio to spot trends and find new revenue opportunities. Space management software can store your RSF data in the cloud, making it accessible anywhere by anyone on your team.

The most profitable commercial real estate starts with better space management

The most profitable commercial real estate starts with better space management

Have you considered better space management? It may seem nuanced but there are ways property teams can adjust the layout of buildings or find additional leasing space at their buildings to add to profits. Here's what you can do...

Building measurement dos and don’ts 

Inaccurate measurements are rampant in commercial real estate. It’s what happens when spaces are measured manually in-house, leaving room for human error. That’s why specialized space management and measurement firms exist – to help you navigate the latest building measurement standards. And with innovative laser technology, your property can ensure accuracy and verify that calculations are compliant with current standards. This ensures you can add RSF with each new measurement standard. And more RSF leads to more revenue.

Interested in learning more about building measurement? Download the full checklist, “Space measurement checklist for CRE due diligence” to learn how you can establish better building measurement practices at your property.